• Listing:
........
Below is one molecule with the formula C11H12 in a non-equilibrium geometry, with properties calculated with ωB97M-V with the def2-TZVPD basis set.

E_HOMO (spin up / spin down): -6.84 / -7.17 eV
structure (SMILES): CC1=c2ccccc2=C[C@H]1C
total energy: -426.2225 hartree
ΔE to the lowest compared entry with this formula, charge and spin: 1.879 eV
E_LUMO (spin up / spin down): 0.5051 / -0.1795 eV

```
! RIJCOSX wB97M-V def2-TZVPD def2/J DEFGRID3
* xyz 0 1
C 2.5322 -1.6198 2.0803
C 1.5763 -2.6060 1.7682
C 2.3794 -0.3176 1.6991
C 0.4413 -2.2889 1.0480
C 0.8781 1.2887 0.4445
C 1.2256 0.0601 0.9552
C 0.3028 -0.9771 0.6689
C -0.9820 -0.0589 -0.3358
C -0.4321 1.2985 -0.2720
C -2.2331 -0.5929 -0.8708
C -0.3784 2.0305 -1.6200
H 3.4105 -1.9142 2.6379
H 1.7421 -3.6212 2.0986
H 3.1210 0.4280 1.9455
H -0.2947 -3.0385 0.8018
H 1.4630 2.1855 0.5457
H -1.1106 1.8644 0.3880
H -2.0496 -1.4650 -1.5002
H -2.7394 0.1687 -1.4648
H -2.9125 -0.9094 -0.0709
H 0.1835 1.4285 -2.3316
H 0.1196 2.9917 -1.5041
H -1.3786 2.1991 -2.0131
*
```

***

Below is one molecule with the formula C4H9NO2, with properties calculated with ωB97M-V with the def2-TZVPD basis set.

E_HOMO: -9.56 eV
structure (SMILES): C[C@@H](O)CC(N)=O
total energy: -363.0722 hartree
ΔE to the lowest compared entry with this formula, charge and spin: 0.363 eV
E_LUMO: 0.7022 eV

```
! RIJCOSX wB97M-V def2-TZVPD def2/J DEFGRID3
* xyz 0 1
C -1.9965 -0.3526 -0.5430
C -0.5757 0.1870 -0.4464
O -0.5547 1.3874 0.3295
C 0.3489 -0.8186 0.2373
C 1.8366 -0.4768 0.2651
O 2.6881 -1.3137 0.0138
N 2.1388 0.7947 0.6377
H -2.3639 -0.6288 0.4520
H -2.0433 -1.2360 -1.1867
H -2.6734 0.4009 -0.9662
H -0.1988 0.4025 -1.4590
H -1.4065 1.8297 0.2413
H 0.0044 -0.9317 1.2737
H 0.2719 -1.7927 -0.2524
H 3.1109 1.0611 0.6480
H 1.4133 1.4874 0.7554
*
```

***

Below is C57H46F2FeN8O3PS as an isolated structure in a non-equilibrium geometry, with properties calculated with ωB97M-V with the def2-TZVPD basis set.

E_HOMO (spin up / spin down): -5.63 / -5.62 eV
total energy: -5065.6074 hartree
ΔE to the lowest compared entry with this formula, charge and spin: 7.603 eV
E_LUMO (spin up / spin down): -1.4458 / -2.3584 eV

```
! RIJCOSX wB97M-V def2-TZVPD def2/J DEFGRID3
* xyz 0 6
Fe -0.9450 -0.2467 3.3559
C 2.1598 -2.0166 -2.4293
N 1.2404 -2.6704 -1.4919
C 0.8646 -1.9741 -0.3502
N 0.6487 -2.8603 0.6421
C 0.9466 -4.1462 0.1666
C 1.4405 -3.9607 -1.0875
C 1.8479 -4.9475 -2.0810
C 2.8231 -5.9586 -1.9925
C 2.9610 -6.8406 -3.0561
C 2.1132 -6.8489 -4.1202
C 1.1644 -5.8954 -4.2278
C 1.0256 -4.9514 -3.2168
C 0.9695 -5.2610 0.9840
C -0.2115 -5.9857 1.1429
C -0.1582 -7.1255 1.9324
C 1.1121 -7.5398 2.4314
C 2.2187 -6.7489 2.2234
C 2.2518 -5.6486 1.4545
P 0.1104 -0.3119 -0.0541
C 0.7161 0.9722 -1.0720
N 1.4831 1.8592 -0.5065
C 1.6780 2.8234 -1.4487
C 0.9965 2.5891 -2.6207
N 0.3741 1.3488 -2.3776
C -0.4463 0.6418 -3.2667
C 0.9735 3.0993 -3.9489
C -0.0772 3.1397 -4.9380
C 0.0661 3.4228 -6.3240
C 1.3029 3.8450 -6.7279
C 2.3928 3.6927 -5.8919
C 2.2553 3.3476 -4.5379
C 2.7126 3.7829 -1.0968
C 2.4100 5.0840 -1.6892
C 3.2799 6.0174 -1.3803
C 4.4054 5.8356 -0.6508
C 4.6716 4.6201 0.0224
C 3.8006 3.5559 -0.2864
C -1.7343 -0.4354 0.2341
N -2.2658 -0.1784 1.4817
C -3.5838 -0.5669 1.5038
C -3.9798 -0.8516 0.2009
N -2.7464 -0.8344 -0.5989
C -2.6512 -1.1600 -2.0049
C -5.2518 -0.8870 -0.5149
C -5.8915 0.3628 -0.4568
C -7.2189 0.3897 -0.8886
C -7.9203 -0.7071 -1.3326
C -7.2572 -1.9107 -1.4292
C -5.8958 -2.0131 -1.0380
C -4.5468 -0.1669 2.5551
C -5.5201 -1.0484 3.0568
C -6.3184 -0.7807 4.1328
C -6.4979 0.5230 4.5968
C -5.8032 1.5889 3.8695
C -4.6949 1.1407 3.1239
H 3.1988 -2.2844 -2.0593
H 2.0679 -2.3557 -3.4799
H 1.9072 -0.9738 -2.4526
H 3.5647 -6.0884 -1.2071
H 3.7291 -7.5536 -3.0312
H 2.3219 -7.4971 -4.9402
H 0.5097 -5.8786 -5.0539
H 0.2024 -4.2212 -3.3517
H -1.0769 -5.5664 0.7476
H -0.9459 -7.8810 2.0750
H 0.9363 -8.5230 2.9219
H 3.1401 -7.0972 2.7550
H 3.1396 -4.9861 1.3888
H -1.4944 0.9104 -2.9912
H -0.3060 0.9361 -4.3240
H -0.2882 -0.4297 -3.2386
........
• What to do:
The reader should copy the rows further up without additions.
• Solution:
Below is one molecule with the formula C11H12 in a non-equilibrium geometry, with properties calculated with ωB97M-V with the def2-TZVPD basis set.

E_HOMO (spin up / spin down): -6.84 / -7.17 eV
structure (SMILES): CC1=c2ccccc2=C[C@H]1C
total energy: -426.2225 hartree
ΔE to the lowest compared entry with this formula, charge and spin: 1.879 eV
E_LUMO (spin up / spin down): 0.5051 / -0.1795 eV

```
! RIJCOSX wB97M-V def2-TZVPD def2/J DEFGRID3
* xyz 0 1
C 2.5322 -1.6198 2.0803
C 1.5763 -2.6060 1.7682
C 2.3794 -0.3176 1.6991
C 0.4413 -2.2889 1.0480
C 0.8781 1.2887 0.4445
C 1.2256 0.0601 0.9552
C 0.3028 -0.9771 0.6689
C -0.9820 -0.0589 -0.3358
C -0.4321 1.2985 -0.2720
C -2.2331 -0.5929 -0.8708
C -0.3784 2.0305 -1.6200
H 3.4105 -1.9142 2.6379
H 1.7421 -3.6212 2.0986
H 3.1210 0.4280 1.9455
H -0.2947 -3.0385 0.8018
H 1.4630 2.1855 0.5457
H -1.1106 1.8644 0.3880
H -2.0496 -1.4650 -1.5002
H -2.7394 0.1687 -1.4648
H -2.9125 -0.9094 -0.0709
H 0.1835 1.4285 -2.3316
H 0.1196 2.9917 -1.5041
H -1.3786 2.1991 -2.0131
*
```

***

Below is one molecule with the formula C4H9NO2, with properties calculated with ωB97M-V with the def2-TZVPD basis set.

E_HOMO: -9.56 eV
structure (SMILES): C[C@@H](O)CC(N)=O
total energy: -363.0722 hartree
ΔE to the lowest compared entry with this formula, charge and spin: 0.363 eV
E_LUMO: 0.7022 eV

```
! RIJCOSX wB97M-V def2-TZVPD def2/J DEFGRID3
* xyz 0 1
C -1.9965 -0.3526 -0.5430
C -0.5757 0.1870 -0.4464
O -0.5547 1.3874 0.3295
C 0.3489 -0.8186 0.2373
C 1.8366 -0.4768 0.2651
O 2.6881 -1.3137 0.0138
N 2.1388 0.7947 0.6377
H -2.3639 -0.6288 0.4520
H -2.0433 -1.2360 -1.1867
H -2.6734 0.4009 -0.9662
H -0.1988 0.4025 -1.4590
H -1.4065 1.8297 0.2413
H 0.0044 -0.9317 1.2737
H 0.2719 -1.7927 -0.2524
H 3.1109 1.0611 0.6480
H 1.4133 1.4874 0.7554
*
```

***

Below is C57H46F2FeN8O3PS as an isolated structure in a non-equilibrium geometry, with properties calculated with ωB97M-V with the def2-TZVPD basis set.

E_HOMO (spin up / spin down): -5.63 / -5.62 eV
total energy: -5065.6074 hartree
ΔE to the lowest compared entry with this formula, charge and spin: 7.603 eV
E_LUMO (spin up / spin down): -1.4458 / -2.3584 eV

```
! RIJCOSX wB97M-V def2-TZVPD def2/J DEFGRID3
* xyz 0 6
Fe -0.9450 -0.2467 3.3559
C 2.1598 -2.0166 -2.4293
N 1.2404 -2.6704 -1.4919
C 0.8646 -1.9741 -0.3502
N 0.6487 -2.8603 0.6421
C 0.9466 -4.1462 0.1666
C 1.4405 -3.9607 -1.0875
C 1.8479 -4.9475 -2.0810
C 2.8231 -5.9586 -1.9925
C 2.9610 -6.8406 -3.0561
C 2.1132 -6.8489 -4.1202
C 1.1644 -5.8954 -4.2278
C 1.0256 -4.9514 -3.2168
C 0.9695 -5.2610 0.9840
C -0.2115 -5.9857 1.1429
C -0.1582 -7.1255 1.9324
C 1.1121 -7.5398 2.4314
C 2.2187 -6.7489 2.2234
C 2.2518 -5.6486 1.4545
P 0.1104 -0.3119 -0.0541
C 0.7161 0.9722 -1.0720
N 1.4831 1.8592 -0.5065
C 1.6780 2.8234 -1.4487
C 0.9965 2.5891 -2.6207
N 0.3741 1.3488 -2.3776
C -0.4463 0.6418 -3.2667
C 0.9735 3.0993 -3.9489
C -0.0772 3.1397 -4.9380
C 0.0661 3.4228 -6.3240
C 1.3029 3.8450 -6.7279
C 2.3928 3.6927 -5.8919
C 2.2553 3.3476 -4.5379
C 2.7126 3.7829 -1.0968
C 2.4100 5.0840 -1.6892
C 3.2799 6.0174 -1.3803
C 4.4054 5.8356 -0.6508
C 4.6716 4.6201 0.0224
C 3.8006 3.5559 -0.2864
C -1.7343 -0.4354 0.2341
N -2.2658 -0.1784 1.4817
C -3.5838 -0.5669 1.5038
C -3.9798 -0.8516 0.2009
N -2.7464 -0.8344 -0.5989
C -2.6512 -1.1600 -2.0049
C -5.2518 -0.8870 -0.5149
C -5.8915 0.3628 -0.4568
C -7.2189 0.3897 -0.8886
C -7.9203 -0.7071 -1.3326
C -7.2572 -1.9107 -1.4292
C -5.8958 -2.0131 -1.0380
C -4.5468 -0.1669 2.5551
C -5.5201 -1.0484 3.0568
C -6.3184 -0.7807 4.1328
C -6.4979 0.5230 4.5968
C -5.8032 1.5889 3.8695
C -4.6949 1.1407 3.1239
H 3.1988 -2.2844 -2.0593
H 2.0679 -2.3557 -3.4799
H 1.9072 -0.9738 -2.4526
H 3.5647 -6.0884 -1.2071
H 3.7291 -7.5536 -3.0312
H 2.3219 -7.4971 -4.9402
H 0.5097 -5.8786 -5.0539
H 0.2024 -4.2212 -3.3517
H -1.0769 -5.5664 0.7476
H -0.9459 -7.8810 2.0750
H 0.9363 -8.5230 2.9219
H 3.1401 -7.0972 2.7550
H 3.1396 -4.9861 1.3888
H -1.4944 0.9104 -2.9912
H -0.3060 0.9361 -4.3240
H -0.2882 -0.4297 -3.2386